## Data
........
1.
! CdIrOs2 SCAN PBEsol geometry; values from VASP
! Fermi-level density of states: 2.48 states/eV/f.u.
! Electronic total energy: -60.680 eV/atom
! Crystal system: orthorhombic
! Energy relative to the elements: 0.6382 eV/atom
&SYSTEM
  ibrav = 0, nat = 4, ntyp = 3
/
ATOMIC_SPECIES
Cd 112.41 Cd.upf
Os 190.23 Os.upf
Ir 192.22 Ir.upf
CELL_PARAMETERS angstrom
2.719 0.000 0.000
-1.359 2.360 0.000
0.000 0.000 9.582
ATOMIC_POSITIONS angstrom
Cd 1.359 0.000 4.791
Os 0.000 0.000 2.279
Os 0.000 0.000 7.303
Ir 1.359 0.000 0.000

***

2.
! Rb2CeTa6Br15O3 SCAN PBEsol geometry; values from VASP
! Energy relative to the elements, uncorrected: -43.2 eV/f.u.
! Electronic total energy: -31.086 eV/atom
! Crystal system: trigonal
&SYSTEM
  ibrav = 0, nat = 54, ntyp = 5
/
ATOMIC_SPECIES
Ta 180.95 Ta.upf
Br 79.90 Br.upf
Ce 140.12 Ce.upf
Rb 85.47 Rb.upf
O 16.00 O.upf
CELL_PARAMETERS angstrom
-5.944 6.632 3.022
2.951 -6.709 5.893
13.813 10.226 4.726
ATOMIC_POSITIONS angstrom
Ta 10.778 8.207 5.500
Ta 0.042 1.943 8.141
Ta -2.771 7.251 4.877
Ta 0.886 4.311 9.229
Ta 13.590 2.898 8.765
Ta 11.334 1.566 9.563
Ta 9.343 7.098 12.092
Ta -0.515 8.583 4.078
Ta 9.933 5.838 4.412
Ta 1.476 3.051 1.549
Ta 7.094 6.838 10.551
Ta 3.726 3.312 3.090
Br 2.387 1.066 7.524
Br 0.613 0.727 2.343
Br 1.958 7.430 4.061
Br 10.207 9.422 11.298
Br 8.433 9.083 6.118
Br 3.406 -4.338 5.140
Br 7.133 5.765 8.043
Br -2.742 4.650 5.702
Br 11.818 6.327 11.242
Br 8.861 2.719 9.581
Br 3.444 1.094 4.374
Br 9.460 3.607 5.909
Br 3.687 4.385 5.598
Br 6.333 11.426 7.185
Br 6.284 2.865 3.339
Br 7.414 14.488 8.501
Br 13.561 5.499 7.940
Br 1.359 6.542 7.733
Br 3.412 11.125 5.275
Br 4.486 -1.277 6.456
Br 7.375 9.055 9.267
Br -0.999 3.823 2.399
Br -0.543 -0.570 8.529
Br 11.363 10.719 5.112
Br 7.408 -0.976 8.366
Br -0.419 1.620 5.472
Br 3.467 4.060 8.989
Br 7.353 6.089 4.652
Br 11.239 8.529 8.169
Br 4.535 7.284 10.302
Ce 0.474 4.742 5.161
Ce 10.345 5.407 8.481
Rb 6.325 2.431 7.105
Rb 4.494 7.718 6.536
Rb 10.267 11.992 8.511
Rb 0.553 -1.842 5.130
O -0.859 6.742 4.730
O 0.468 3.724 7.381
O 9.005 6.390 10.270
O 11.679 3.407 8.911
O 1.814 3.759 3.371
O 10.352 6.425 6.260

***

3.
! SeCl2 SCAN PBEsol geometry; values from VASP
! Fermi-level density of states: 2.42 states/eV/f.u.
! Energy relative to the elements, uncorrected: 1.7 eV/f.u.
! Electronic total energy: -11.441 eV/atom
! Crystal system: tetragonal
&SYSTEM
  ibrav = 0, nat = 3, ntyp = 2
/
ATOMIC_SPECIES
Cl 35.45 Cl.upf
Se 78.96 Se.upf
CELL_PARAMETERS angstrom
3.119 0.000 0.000
0.000 3.119 0.000
-1.559 -1.559 6.178
ATOMIC_POSITIONS angstrom
Cl 1.559 1.559 1.755
Cl 0.000 0.000 4.423
Se 0.000 0.000 0.000

***

4.
! ScP2Ir SCAN PBEsol geometry; values from VASP
! Fermi-level density of states: 4.42 states/eV/f.u.
! Electronic total energy: -26.934 eV/atom
! Crystal system: cubic
! Energy relative to the elements: -0.4008 eV/atom
&SYSTEM
  ibrav = 0, nat = 4, ntyp = 3
/
ATOMIC_SPECIES
Sc 44.96 Sc.upf
P 30.97 P.upf
Ir 192.22 Ir.upf
CELL_PARAMETERS angstrom
-2.432 3.590 0.236
-3.740 0.237 -2.195
-3.780 -0.074 2.137
ATOMIC_POSITIONS angstrom
Sc -4.976 1.876 0.089
P -7.464 2.814 0.133
P -2.488 0.938 0.044
Ir 0.000 0.000 0.000

* * * * *

The following is a DFT calculation (GGA+U) of a relaxed MgVN2F crystal.

Unit cell a=3.9527 b=3.9527 c=3.6312 alpha=90.00 beta=90.00 gamma=90.00
Fractional positions:
1 Mg 0.0000 0.0000 0.0000
2 V 0.5000 0.5000 0.5000
3 N 0.0000 0.5000 0.0000
4 N 0.5000 0.0000 0.0000
5 F 0.0000 0.0000 0.5000

Results
Theoretical density   3578 kg/m3
E_tot   -4.997 eV/atom
DOS(E_F)   3.4 states/eV/f.u.
Energy above the lowest structure with this stoichiometry   1023 meV/atom
........
## Work order
It remains to search the calculation results further above for the word "kg" and copy each line that has it.
## Response
Theoretical density   3578 kg/m3